== Work order ==
Now copy everything underneath unchanged.
== Material ==
********
DFT (GGA-PBE) results for crystalline ZnP2H11C2NO8 at its relaxed geometry.

Geometry as POSCAR:
```
ZnP2H11C2NO8
1.0
-1.1879 1.1468 -8.3500
0.1624 -8.2151 -2.2213
-14.5226 -2.1170 -0.0343
H O N P C Zn
44 32 4 8 8 4
direct
0.8774 0.1233 0.0088 H
0.5240 0.1900 0.0054 H
0.8678 0.6548 0.3251 H
0.8995 0.2368 0.8533 H
0.7067 0.4452 0.3142 H
0.1263 0.9184 0.7360 H
0.1900 0.5240 0.5054 H
0.3332 0.5039 0.1822 H
0.2860 0.6866 0.3614 H
0.7123 0.7019 0.4716 H
0.9184 0.1263 0.2360 H
0.7702 0.4571 0.1923 H
0.6389 0.2812 0.0742 H
0.6501 0.6210 0.2397 H
0.4571 0.7702 0.6923 H
0.7464 0.0558 0.6986 H
0.5009 0.9815 0.7824 H
0.7019 0.7123 0.9716 H
0.1233 0.8774 0.5088 H
0.0725 0.6214 0.5973 H
0.0558 0.7464 0.1986 H
0.6393 0.9656 0.6244 H
0.2913 0.1350 0.2121 H
0.5799 0.9306 0.3026 H
0.0302 0.7703 0.4507 H
0.2368 0.8995 0.3533 H
0.8039 0.8534 0.6774 H
0.6548 0.8678 0.8251 H
0.3791 0.8018 0.4291 H
0.1350 0.2913 0.7121 H
0.6210 0.6501 0.7397 H
0.2812 0.6389 0.5742 H
0.6214 0.0725 0.0973 H
0.5039 0.3332 0.6822 H
0.9815 0.5009 0.2824 H
0.7703 0.0302 0.9507 H
0.8018 0.3791 0.9291 H
0.9306 0.5799 0.8026 H
0.8534 0.8039 0.1774 H
0.9656 0.6393 0.1244 H
0.7556 0.3937 0.6803 H
0.3937 0.7556 0.1803 H
0.6866 0.2860 0.8614 H
0.4452 0.7067 0.8142 H
0.5740 0.3486 0.5681 O
0.0802 0.8947 0.8568 O
0.3732 0.1992 0.2631 O
0.7794 0.4799 0.6320 O
0.3486 0.5740 0.0681 O
0.3430 0.1151 0.5963 O
0.3782 0.3569 0.4010 O
0.0683 0.2242 0.6693 O
0.8947 0.0802 0.3568 O
0.2242 0.0683 0.1693 O
0.1464 0.9236 0.6674 O
0.7991 0.8336 0.9200 O
0.1175 0.3532 0.3329 O
0.3569 0.3782 0.9010 O
0.3389 0.5055 0.2498 O
0.9236 0.1464 0.1674 O
0.1992 0.3732 0.7631 O
0.8336 0.7991 0.4200 O
0.5055 0.3389 0.7498 O
0.0318 0.6303 0.9581 O
0.0922 0.0848 0.5228 O
0.6889 0.9584 0.2919 O
0.4799 0.7794 0.1320 O
0.6303 0.0318 0.4581 O
0.9584 0.6889 0.7919 O
0.1151 0.3430 0.0963 O
0.0848 0.0922 0.0228 O
0.3532 0.1175 0.8329 O
0.8343 0.4049 0.4659 O
0.6275 0.6299 0.5057 O
0.4049 0.8343 0.9659 O
0.6299 0.6275 0.0057 O
0.8905 0.5926 0.2671 N
0.1399 0.7726 0.4764 N
0.7726 0.1399 0.9764 N
0.5926 0.8905 0.7671 N
0.4590 0.7043 0.0391 P
0.0953 0.1658 0.1130 P
********
== Written answer ==
DFT (GGA-PBE) results for crystalline ZnP2H11C2NO8 at its relaxed geometry.

Geometry as POSCAR:
```
ZnP2H11C2NO8
1.0
-1.1879 1.1468 -8.3500
0.1624 -8.2151 -2.2213
-14.5226 -2.1170 -0.0343
H O N P C Zn
44 32 4 8 8 4
direct
0.8774 0.1233 0.0088 H
0.5240 0.1900 0.0054 H
0.8678 0.6548 0.3251 H
0.8995 0.2368 0.8533 H
0.7067 0.4452 0.3142 H
0.1263 0.9184 0.7360 H
0.1900 0.5240 0.5054 H
0.3332 0.5039 0.1822 H
0.2860 0.6866 0.3614 H
0.7123 0.7019 0.4716 H
0.9184 0.1263 0.2360 H
0.7702 0.4571 0.1923 H
0.6389 0.2812 0.0742 H
0.6501 0.6210 0.2397 H
0.4571 0.7702 0.6923 H
0.7464 0.0558 0.6986 H
0.5009 0.9815 0.7824 H
0.7019 0.7123 0.9716 H
0.1233 0.8774 0.5088 H
0.0725 0.6214 0.5973 H
0.0558 0.7464 0.1986 H
0.6393 0.9656 0.6244 H
0.2913 0.1350 0.2121 H
0.5799 0.9306 0.3026 H
0.0302 0.7703 0.4507 H
0.2368 0.8995 0.3533 H
0.8039 0.8534 0.6774 H
0.6548 0.8678 0.8251 H
0.3791 0.8018 0.4291 H
0.1350 0.2913 0.7121 H
0.6210 0.6501 0.7397 H
0.2812 0.6389 0.5742 H
0.6214 0.0725 0.0973 H
0.5039 0.3332 0.6822 H
0.9815 0.5009 0.2824 H
0.7703 0.0302 0.9507 H
0.8018 0.3791 0.9291 H
0.9306 0.5799 0.8026 H
0.8534 0.8039 0.1774 H
0.9656 0.6393 0.1244 H
0.7556 0.3937 0.6803 H
0.3937 0.7556 0.1803 H
0.6866 0.2860 0.8614 H
0.4452 0.7067 0.8142 H
0.5740 0.3486 0.5681 O
0.0802 0.8947 0.8568 O
0.3732 0.1992 0.2631 O
0.7794 0.4799 0.6320 O
0.3486 0.5740 0.0681 O
0.3430 0.1151 0.5963 O
0.3782 0.3569 0.4010 O
0.0683 0.2242 0.6693 O
0.8947 0.0802 0.3568 O
0.2242 0.0683 0.1693 O
0.1464 0.9236 0.6674 O
0.7991 0.8336 0.9200 O
0.1175 0.3532 0.3329 O
0.3569 0.3782 0.9010 O
0.3389 0.5055 0.2498 O
0.9236 0.1464 0.1674 O
0.1992 0.3732 0.7631 O
0.8336 0.7991 0.4200 O
0.5055 0.3389 0.7498 O
0.0318 0.6303 0.9581 O
0.0922 0.0848 0.5228 O
0.6889 0.9584 0.2919 O
0.4799 0.7794 0.1320 O
0.6303 0.0318 0.4581 O
0.9584 0.6889 0.7919 O
0.1151 0.3430 0.0963 O
0.0848 0.0922 0.0228 O
0.3532 0.1175 0.8329 O
0.8343 0.4049 0.4659 O
0.6275 0.6299 0.5057 O
0.4049 0.8343 0.9659 O
0.6299 0.6275 0.0057 O
0.8905 0.5926 0.2671 N
0.1399 0.7726 0.4764 N
0.7726 0.1399 0.9764 N
0.5926 0.8905 0.7671 N
0.4590 0.7043 0.0391 P
0.0953 0.1658 0.1130 P